The Oregon Surveyor
Vol. 40, No. 1
veryday PLSO members strive to enhance our
profession and association image. We know you’re
busy and appreciate your investment of five minutes
to recognize someone who has inspired you through
their service to our great organization.
On the back of this form are award categories. Thank
you for your help in honoring the people who elevate
our association.
Name of Nominee
Tony Brooks, Oregon PLS No. 2736
Reason to recognize this individual
Tony has been an active member of PLSO for
many years. He has supported the organization in
numerous activities from Pioneer Chapter officer to
annual conference committee member to his most
recent endeavor of being a champion of the PLSO
outreach program.
Tony has Associate Degrees in Civil Engineering
Technology (1987) and Drafting Technology (1990),
both from Linn-Benton Community College. He
has also attained a GIS Certificate from Clackamas
Community College.
He began his surveying career in 1987 working for
CH2M HILL in Portland Oregon. He started out as
a rod person and worked up through the different
levels to managing the Land Surveying group. He
supervised nine surveyors and was able to work on
many large, exciting projects in Oregon, the Pacific
Northwest, across the United States and even some
international projects using some of the latest
surveying tools.
Beginning in 2009, Tony served on the PLSO Annual
Conference Committee for four years. He willingly
took on the onerous duty of committee budget
guru. His expertise in spreadsheet design kept the
committee apprised of all of the various budget items
associated with a conference.
In 2012, Tony took a big step in opening his own
Someone pasted calculated molecules at this point:
+++
Formula: C46H54CeN3O6PS3
Source: the Open Molecules 2025 dataset
Level of theory: the ωB97M-V functional and the def2-TZVPD basis

E_HOMO (spin up / spin down) in eV: -12.2058 / -12.2058
Molecular weight in g mol⁻¹: 1012.244
Orbital gap (spin up / spin down) in Eh: 0.14970 / 0.15020
ΔE to the lowest compared entry with this formula, charge and spin in eV: 0.3912

```
! RIJCOSX wB97M-V def2-TZVPD def2/J DEFGRID3
* xyz 2 1
Ce -0.01 0.98 -0.58
C -2.28 3.64 6.11
C -1.41 2.45 5.86
C -0.01 2.60 5.75
C 0.83 1.52 5.53
C 2.30 1.70 5.41
C 0.27 0.27 5.29
C -1.10 0.03 5.50
C -1.69 -1.35 5.29
C -1.92 1.14 5.77
H -3.18 3.51 5.46
H -1.79 4.56 5.85
H -2.62 3.66 7.19
H 0.46 3.61 5.93
H 2.57 2.73 5.60
H 2.64 1.41 4.40
H 2.83 1.07 6.14
H 0.89 -0.59 5.02
H -1.54 -1.97 6.17
H -1.27 -1.96 4.45
H -2.78 -1.24 5.13
H -2.98 0.98 6.03
N -1.94 3.71 -0.46
C -2.73 2.63 -0.02
C -4.02 2.47 -0.61
C -4.77 1.42 -0.17
C -4.25 0.61 0.90
C -3.00 0.82 1.38
N -2.18 1.74 0.79
C -0.77 4.22 0.19
C -0.58 5.59 0.08
C 0.38 6.14 0.92
C 1.20 5.25 1.72
C 0.98 3.88 1.62
N 0.05 3.35 0.81
H -2.46 4.37 -1.04
H -4.32 3.15 -1.41
H -5.80 1.23 -0.54
H -4.86 -0.18 1.31
H -2.62 0.33 2.27
H -1.32 6.20 -0.46
H 0.61 7.18 0.99
H 1.99 5.64 2.35
H 1.54 3.21 2.29
O -2.56 2.62 -4.58
C -2.03 1.58 -5.29
C -2.40 1.54 -6.64
C -2.06 0.47 -7.45
C -1.27 -0.52 -6.95
C -0.73 -0.42 -5.64
C -1.17 0.60 -4.76
C -0.69 0.72 -3.34
O 0.07 -0.19 -2.82
O -1.09 1.71 -2.55
H -2.08 2.62 -3.72
H -2.87 2.35 -7.17
H -2.41 0.45 -8.49
H -0.91 -1.33 -7.54
H -0.02 -1.17 -5.27
C 3.17 1.74 -3.40
C 3.12 2.42 -2.05
C 2.40 3.75 -2.05
O 2.37 1.44 -1.05
P 3.27 0.91 0.24
S 4.19 2.30 1.15
S 1.76 0.02 1.33
O 4.22 -0.14 -0.48
C 5.58 -0.60 -0.12
C 6.58 0.39 -0.61
C 5.59 -1.92 -0.84
H 3.34 2.47 -4.19
H 2.25 1.22 -3.64
H 3.94 0.95 -3.45
H 4.09 2.58 -1.62
H 1.36 3.64 -2.42
H 2.90 4.48 -2.73
H 2.38 4.22 -1.07
H 5.62 -0.76 0.96
H 6.46 0.59 -1.72
H 7.60 -0.04 -0.47
H 6.53 1.34 -0.03
H 5.55 -1.71 -1.91
H 4.72 -2.52 -0.57
H 6.52 -2.48 -0.66
O -0.74 -1.13 0.03
S -1.37 -2.20 -0.93
C -2.23 -3.34 0.24
C -3.05 -4.34 -0.65
C -3.85 -3.82 -1.66
C -4.45 -4.72 -2.53
C -4.46 -6.09 -2.29
C -3.72 -6.57 -1.22
C -3.14 -5.67 -0.34
C 0.02 -3.24 -1.50
C 0.79 -4.06 -0.50
C 0.60 -5.46 -0.45
C 1.39 -6.28 0.33
C 2.38 -5.73 1.15
C 2.58 -4.35 1.16
C 1.79 -3.52 0.36
H -2.95 -2.73 0.82
H -1.46 -3.80 0.83
H -3.86 -2.77 -1.77
H -5.02 -4.38 -3.40
H -5.04 -6.74 -2.97
H -3.70 -7.65 -1.01
H -2.66 -6.02 0.60
H 0.69 -2.49 -1.97
H -0.50 -3.85 -2.24
H -0.08 -5.92 -1.15
H 1.18 -7.38 0.38
H 3.01 -6.40 1.73
H 3.19 -3.94 1.99
H 2.00 -2.46 0.39
*
```
+++
Back to the piece:
business. Ag Geospatial NW, LLC. He saw a need to
use his expertise in an area that he knew was going
to be the future in surveying. The company provides
Land Surveying and GIS support for rural properties,
farms and ranches in the northern Willamette Valley.
His expertise is in boundary surveys, property line
adjustments, partitions, construction staking, FEMA
elevation certificates and more. Precision agriculture
is about whole farm management with the goal
of optimizing returns on inputs while preserving
resources. It relies on new technologies like satellite
imagery, information technology, and geospatial
Tony’s most recent contribution to the surveying
profession is his non-stop support to the PLSO
Outreach Program. For the past two years, he has
done a yeoman’s job of organizing and attending
several outreach programs. He has presented or
recruited the TrigStar competition and College
& Career Days at North Marion and Molalla High
Schools; Willamette Promise at Yamhill-Carlton,
141
Properties=species:S:1:pos:R:3:mulliken_charge:R:1 method="wB97M-V/def2-TZVPD" charge=+2 gap_ev="3.930 / 2.534" fmax_ev_per_a=5.7 spin_multiplicity=2 total_energy_ha=-7128.454210
O 1.585 -6.037 0.921 -0.52
V 2.859 -5.090 0.801 1.47
O 4.173 -5.907 0.364 -0.43
O 3.841 -1.240 2.700 -0.55
V 2.294 -1.283 3.090 1.24
O 1.925 -0.056 4.126 -0.47
O -3.705 -1.252 -3.810 -0.41
V -3.249 -2.347 -2.796 1.17
O -4.429 -3.193 -2.197 -0.59
C -0.519 -0.326 -0.150 0.32
C 0.526 -0.851 0.501 0.44
C 0.883 -2.326 0.444 1.63
O 1.777 -2.899 1.192 -0.90
C 0.211 -3.194 -0.313 -0.50
C -0.885 -2.726 -1.106 -0.06
C -1.412 -1.228 -0.881 0.65
O -2.540 -0.932 -1.242 -0.38
O -1.542 -3.381 -1.875 -0.82
O 1.180 0.034 1.228 0.04
H -0.792 0.719 -0.149 0.52
H 0.504 -4.223 -0.464 0.32
F 6.981 3.335 2.886 -0.30
C 5.748 3.163 3.369 -0.06
C 5.432 3.448 4.714 -0.72
C 4.109 3.167 5.109 -0.56
C 3.134 2.785 4.264 -0.72
C 3.435 2.567 2.915 0.57
C 4.735 2.769 2.459 -0.42
H 6.195 3.961 5.282 0.44
H 3.777 3.277 6.131 0.41
H 2.110 2.685 4.594 0.26
H 2.584 2.358 2.284 0.37
H 5.096 2.690 1.444 0.59
F -0.632 3.910 -1.662 0.09
C 0.734 4.079 -1.392 -0.12
C 1.485 2.972 -0.946 0.58
C 2.851 3.071 -0.574 -0.58
C 3.414 4.332 -0.582 -0.43
C 2.660 5.451 -0.970 -0.70
C 1.344 5.326 -1.380 -0.87
H 1.106 1.961 -0.988 0.48
H 3.484 2.199 -0.507 0.16
H 4.441 4.408 -0.258 0.43
H 3.232 6.365 -1.034 0.42
H 0.745 6.166 -1.702 0.52
F 0.191 -1.935 3.504 -0.21
C -0.811 -1.359 4.227 0.38
C -0.634 -0.978 5.522 -0.30
C -1.621 -0.360 6.221 -0.79
C -2.876 -0.248 5.677 -0.45
C -3.171 -0.835 4.432 -0.96
C -2.141 -1.333 3.715 0.17
H 0.341 -1.075 5.975 0.36
H -1.454 0.049 7.207 0.45
H -3.700 0.194 6.217 0.45
H -4.179 -0.695 4.070 0.40
H -2.412 -1.619 2.709 0.52
F 2.813 -4.680 -1.692 0.34
C 2.884 -4.487 -3.024 -0.70
C 3.468 -5.394 -3.892 -0.43
C 3.547 -5.196 -5.295 -0.74
C 2.898 -4.094 -5.846 -0.50
C 2.231 -3.225 -5.004 -0.60
C 2.261 -3.388 -3.618 0.65
H 3.988 -6.211 -3.414 0.44
H 4.053 -5.886 -5.954 0.41
H 2.873 -4.021 -6.924 0.44
H 1.780 -2.323 -5.389 0.40
H 1.824 -2.632 -2.982 0.41
F -0.617 3.488 5.943 -0.38
C -0.721 3.753 4.594 0.49
C -0.444 2.757 3.686 -0.20
C -0.723 3.054 2.351 0.41
C -1.248 4.292 1.882 -0.61
C -1.402 5.234 2.836 -0.64
C -1.148 4.989 4.162 -1.02
H -0.073 1.794 4.002 0.70
H -0.542 2.371 1.534 -0.03
H -1.421 4.445 0.827 0.37
H -1.793 6.185 2.507 0.43
H -1.293 5.706 4.957 0.45
F -4.015 -5.741 -0.984 -0.23
C -3.797 -6.517 0.113 0.14
C -2.488 -6.712 0.532 -0.01
C -2.255 -7.538 1.611 -0.66
C -3.318 -8.090 2.284 -0.36
C -4.671 -7.917 1.876 -0.58
C -4.883 -7.010 0.825 -0.39
H -1.651 -6.240 0.038 0.49
H -1.247 -7.790 1.907 0.40
H -3.165 -8.767 3.111 0.36
H -5.490 -8.424 2.364 0.40
H -5.888 -6.787 0.498 0.43
F -1.037 -1.366 -4.213 -0.22
C -0.221 -0.399 -4.705 -0.10
C 0.006 -0.303 -6.092 -0.62
C 0.792 0.721 -6.628 -0.47
C 1.401 1.658 -5.790 -1.05
C 1.044 1.598 -4.400 -0.50
C 0.331 0.516 -3.870 0.94
H -0.397 -1.133 -6.652 0.46
H 0.994 0.725 -7.689 0.43
H 1.791 2.574 -6.208 0.43
H 1.275 2.452 -3.780 0.28
The entry goes on
Central, Sprague, Stayton, and Gervais high schools;
and also procured some surveying equipment for
use at some of the schools. He has touched the
lives of many students and presented them with
an opportunity to become knowledgeable of the
surveying profession.
He and his wife Kim met at the 1988 Pendleton
Round-Up. She is his best friend and partner in all
that he does. They have two children and reside on a
small ranch just outside of Molalla, OR.
Submitted by:
Tim Kent, PLS
Gary Anderson, PLS
Greg Crites, PLS
Gary Johnston, PLS
Pat Gaylord, PLS
John Thatcher, PLS
of the
Year 2016
Tony Brooks, PLS